BC1-1808 Homework, Jere Haapaharju


My homework thread for the  August 2018 Class

Entry 1:
ORCA calculation (ωB97M-V/def2-TZVPD) on C25H22CaN3O2PS5 as an isolated structure.

Calculated values
strongest force on any atom	0.01163	Eh/bohr
net charge	-2
E_HOMO	-1.4832	eV
orbital gap	5.514	eV
energy relative to the best compared isomer or geometry (same formula, charge and spin)	0.0480	eV
E_tot	-4290.6779	hartree
E_LUMO	4.03	eV

CARTESIAN COORDINATES (ANGSTROEM)
S 1.4614 -2.6182 -1.2642
O 0.2721 -0.7873 1.5601
H -7.0749 2.4276 4.4899
C -1.3322 4.1586 -0.0978
C -4.9375 0.3382 2.8939
C -1.4179 -3.1927 3.1304
H -3.9441 3.3350 1.7230
C -5.0823 0.0729 -2.9778
H -2.8955 2.8588 -0.7541
C -0.0012 3.3716 1.7255
S 3.3901 -2.9784 -0.5426
C -6.2745 2.0973 3.8376
O -0.7521 0.0082 -1.8351
N 1.1172 6.5408 -1.6101
H -0.7470 -3.0010 5.2183
C -5.2804 0.6725 -0.6354
N 1.5680 2.2557 -1.3217
H -4.7039 -0.7210 2.8234
C -1.7311 -0.0088 -1.0792
C 0.6165 -2.0668 3.8026
C -5.5321 3.0189 3.1108
H 1.6046 -2.1079 4.2569
C 1.5084 3.2607 -1.9054
H -1.1868 -2.8405 0.9489
C -0.7589 2.2082 1.7775
H -0.5023 1.4368 2.4950
H -1.5340 4.9070 -0.8550
S 0.7897 -2.1462 1.9906
P -2.8406 0.4757 1.0326
H 0.1746 -4.1396 4.2370
C 1.2920 5.4778 -2.0474
C -0.2874 4.3571 0.7953
C -3.9117 0.4614 -0.4825
C -3.7145 -0.1047 -2.8360
H -5.7520 4.0777 3.1929
C -5.8537 0.4649 -1.8832
H -2.0084 -2.2737 3.1694
N 1.5045 4.3261 -2.6599
C -3.1432 0.1029 -1.5874
H -6.9214 0.6092 -2.0102
C -5.9717 0.7484 3.7247
C -0.3448 -3.1763 4.2180
Ca 1.0646 0.1590 -0.3421
C -1.8267 2.0047 0.9063
H 0.1775 -1.0832 3.9752
H -6.5350 0.0136 4.2896
S 4.3252 -1.1666 -0.5195
H -2.1022 -4.0383 3.2270
S 3.5686 -0.0610 1.0957
H 0.8365 3.4867 2.4030
H -5.8925 0.9795 0.2038
H -5.5575 -0.0761 -3.9413
C -0.6526 -3.2311 1.8134
H -3.0851 -0.3872 -3.6724
C -4.1877 1.2407 2.1412
C -2.0908 2.9990 -0.0409
H 0.3141 5.2531 0.7236
C -4.5076 2.5937 2.2760
H -0.2688 -4.2224 1.5649

=====

Entry 2:
ORCA calculation (ωB97M-V/def2-TZVPD) on C25H22ClN5PdS2Se2 as an isolated structure.

Calculated values
strongest force on any atom	0.01460	Eh/bohr
net charge	+2
E_HOMO	-12.9322	eV
orbital gap	4.840	eV
energy relative to the best compared isomer or geometry (same formula, charge and spin)	0.0000	eV
E_tot	-7426.4253	hartree
E_LUMO	-8.09	eV

CARTESIAN COORDINATES (ANGSTROEM)
H 2.5327 -1.6867 -1.1261
H -0.1853 2.0738 -2.8104
Cl 8.7221 -2.6952 -2.6204
C -0.2831 -1.6606 -2.1102
C 0.6312 -1.4899 4.4528
H 0.0420 -1.9491 5.2335
H 6.6231 -4.0815 -1.3880
H 5.1324 0.4740 -2.7683
C 0.1071 2.6457 -0.6708
C 2.6729 -0.5991 3.6103
C 6.2648 -3.1009 -1.6662
C 4.5410 -1.3938 -1.8147
Pd 0.0223 -0.0411 0.3567
C -0.8287 -2.1032 -4.7644
C -0.0883 1.7274 -1.7871
C 1.9963 -0.2847 2.4508
N -0.3065 -0.4260 -2.5344
N 0.6916 -0.5590 2.2660
H 7.4608 -0.2653 -3.2029
C -3.3087 0.7036 -0.7721
H -1.7383 -1.5170 -4.6719
H 0.4650 2.3205 2.5686
H 0.0016 4.4535 -1.8102
C 0.0108 -1.1301 3.2630
C 0.4151 4.2176 1.5365
C 0.1243 4.0192 -0.8276
H -5.2256 1.4673 2.4065
C 4.9878 -2.7032 -1.4209
H -5.1146 1.0785 -1.8658
N 0.2541 2.0633 0.5440
N -2.6638 0.6557 0.3946
**So much for the calculated molecules:**

  • Jere Haapaharju(swikni) replied

    Week 4 Homework

    I've been working with this project after making the first version of violin and piano in 2.8. The subject was so interesting to me so I decided to make a "real" version of it with 2.79. There are some noise in the first picture (piano's hinge) that I try to correct next week but now it's time to post some results.

    My goal was to try out some lighting in the scene to really make it look like want it to be and I think it's starting to be pretty close now.  I've learned something about lighting during this by just trying things out and I think after making all of those decisions by myself, the learning experience in the next class will be so much better.

    Here are two latest renders of the scene and few earlier "studio" renders. 

    p.s. After putting the images here I realized that the left side wine class is casting a shadow on the lamp.

  • Grady Pruitt(gradyp) replied

    Overall, very nice :D

    the biggest thing I'm wondering about is the floor texture on the "real" scene one... They almost feel too wide but too short for floorboards. I could be wrong. That pattern looks more like you'd see on a wall than flooring to me.

  • Jere Haapaharju(swikni) replied

    gradyp Yes the floor texture is kind of weird and since I'm pretty sure the scale is right, I might change it. Thanks for the notice. Too many times even if something is right it doesn't mean it LOOKS right lol.

  • Matthew Ullrey(ullreym) replied

    That is a very classy conservatory. The choice of wallpaper makes a bold statement. Your materials and textures on the instruments are lovely. I like how you continued building on your previous homework. Taking that idea to the extreme; what would be like if you combined all of your homework projects together? Perhaps the hairless bust could be crashing the forklift into your music room or something. 🤔

  • Aaron Rudderham(thecabbagedetective) replied

    swikni Huh, I think everyone else this week decided to either concentrate on vertex modeling or sculpting, haven't seen anyone concentrate on shading/texturing yet, so props for that! I gotta say, your previous work really comes to life here, I'm glad you decided to do it. Though I imagine after next class this'll be getting a round 2 lol.

  • smurfmier1985 replied

    swikni it's coming to life beautifully, love it 😄

  • sadicus (sadicus) replied

    Your renders look fantastic! I'm looking forward to learning how to light and render scenes of this quality!
    btw, the Forklift race is still a favorite. ;)

  • Zsolt Cseh(csehz) replied

    swikni From the Week 1 we know that setting up a scene was quite time consuming even from primitives, while you here you did the same but with modelling the individual pieces. Plus the texturing, congratulations also for the time management :-)

{"formula": "C4H9OPS", "method": "ωB97M-V/def2-TZVPD", "elements": ["C", "C", "C", "C", "O", "P", "S", "H", "H", "H", "H", "H", "H", "H", "H", "H"], "xyz": [[-0.5781, -0.4989, -0.8661], [0.6919, -0.2077, -0.0277], [1.4969, 0.8641, -0.7646], [0.3293, 0.2548, 1.3788], [-1.6624, -0.9778, -0.1007], [-3.0842, -0.1989, 0.0257], [1.7481, -1.6999, 0.0910], [-0.8666, 0.4221, -1.3868], [-0.3514, -1.2660, -1.6124], [0.9583, 1.8103, -0.7610], [1.6738, 0.5621, -1.7936], [2.4602, 1.0068, -0.2811], [-0.1500, -0.5463, 1.9317], [-0.3468, 1.1039, 1.3325], [1.2256, 0.5478, 1.9131], [-3.5445, -1.1764, 0.9214]], "forces_ev_per_a": [[0.13, 0.21, -0.36], [-0.35, -0.32, -0.01], [0.23, -0.29, 0.06], [0.15, -0.17, -0.08], [0.57, -0.52, 0.25], [-0.02, 0.26, -0.13], [-0.16, 0.29, 0.01], [-0.07, 0.05, 0.02], [0.02, 0.19, 0.01], [-0.10, 0.03, 0.02], [0.05, 0.05, -0.18], [0.08, 0.08, 0.02], [-0.13, -0.02, 0.10], [-0.18, 0.16, -0.01], [0.17, 0.08, 0.08], [-0.38, -0.07, 0.21]], "homo_ev": [-9.407, -7.742], "multiplicity": 1, "e_tot_ev": -26463.026, "relative_energy_kj_mol": 330.6, "lumo_energy_ev": [-0.49, -2.01], "orbital_gap_ha": [0.328, 0.211]}

***

{"formula": "C4H9OPS", "method": "ωB97M-V/def2-TZVPD", "elements": ["C", "C", "C", "C", "O", "P", "S", "H", "H", "H", "H", "H", "H", "H", "H", "H"], "xyz": [[-1.1958, -0.6330, 0.1540], [-1.0802, 0.7602, -0.2997], [-0.1039, -1.5150, -0.4395], [-0.0096, 1.6301, 0.2962], [3.4495, 1.1085, 0.1031], [1.5724, -1.4015, 0.4023], [2.2865, 0.5207, -0.5914], [-1.1188, -0.7557, 1.2248], [-2.1521, -1.1272, -0.2024], [-0.9819, 0.6304, -1.3528], [-1.9779, 1.2742, -0.4168], [-0.4272, -2.5785, -0.2074], [0.3515, -1.2699, -1.4127], [0.1595, 2.5648, -0.0523], [0.1700, 1.5882, 1.3833], [1.0583, -0.7964, 1.4115]], "forces_ev_per_a": [[-0.71, -1.86, -0.53], [1.64, 0.68, -0.51], [1.33, -1.06, 1.24], [-2.19, -2.11, 2.48], [0.67, 0.13, 0.72], [1.63, -0.94, -2.51], [-0.33, -1.62, -0.94], [-0.34, 0.06, 0.48], [0.72, 0.91, 0.57], [1.07, 0.17, -1.41], [-2.13, 1.13, 0.97], [0.70, 0.97, -1.21], [-1.59, -0.56, -0.59], [0.56, 2.64, -1.55], [-0.03, -0.40, -0.54], [-0.99, 1.87, 3.33]], "homo_ev": [-7.157, -8.922], "multiplicity": 3, "e_tot_ev": -26460.455, "relative_energy_kj_mol": 256.8, "lumo_energy_ev": [0.68, -1.39], "orbital_gap_ha": [0.288, 0.277]}

***

  • Jere Haapaharju(swikni) replied

    ullreym What a great idea! Working title could be "Chaos 2.0"

    thecabbagedetective This indeed could work as a target to try out some stuff from the next class

    ssmurfmier1985 csehz Thanks a lot! I'm glad you like it

    sadicus Haha maybe the forklift race is my next remake 

  • Kent Trammell replied

    >swikni Mmm beautiful lighting work here. Just..delicious. I must second the note from gradyp about the wood floor. While the pattern is not the typical hardwood floor and thus more difficult to judge, still the grain of the wood feels 1.5x, maybe even 2x larger than is natural. I'm not sure exactly how to scientifically perfect the scale...finding a picture of this style of wood floor is going to be the best guide.

    But also it's curious that the floor has no reflections. For such a classy space I would bet big $ that the floors would be polyurethaned. Currently the matte look steals some dimension from the scene imo.

    Still, they're all very pleasing images to look at. It's an A from me this week! 

  • silentheart00 replied

    Late to the party.  Good work!  I agree with the floor critiques.  The lighting feels a touch dark, just a touch tough to see in the corner, and the bench is unnoticeable.  Nice wallpaper.